Entries:
(1)
Density functional theory data (GGA-PBE) for a relaxed BeVCo2 crystal.

abc: 5.503 5.503 5.503
angles: 90.00 90.00 90.00
Element x y z (fractional)
Be: 0.000 0.000 0.000
Be: 0.000 0.500 0.500
Be: 0.500 0.000 0.500
Be: 0.500 0.500 0.000
V: 0.000 0.000 0.500
V: 0.000 0.500 0.000
V: 0.500 0.000 0.000
V: 0.500 0.500 0.500
Co: 0.250 0.250 0.250
Co: 0.250 0.250 0.750
Co: 0.250 0.750 0.250
Co: 0.250 0.750 0.750
Co: 0.750 0.250 0.250
Co: 0.750 0.250 0.750
Co: 0.750 0.750 0.250
Co: 0.750 0.750 0.750

- Crystal system: cubic
- Energy of formation: -1.2 eV per formula unit
- Volume: 166.6 Å³ per cell


(2)
Density functional theory data (GGA-PBE) for a relaxed BaMg6Fe crystal.

abc: 4.898 6.292 13.436
angles: 90.00 90.00 90.00
Element x y z (fractional)
Ba: 0.000 0.000 0.000
Ba: 0.000 0.500 0.500
Mg: 0.000 0.000 0.437
Mg: 0.000 0.244 0.220
Mg: 0.000 0.256 0.720
Mg: 0.000 0.500 0.937
Mg: 0.000 0.744 0.720
Mg: 0.000 0.756 0.220
Mg: 0.500 0.000 0.610
Mg: 0.500 0.244 0.344
Mg: 0.500 0.256 0.844
Mg: 0.500 0.500 0.110
Mg: 0.500 0.744 0.844
Mg: 0.500 0.756 0.344
Fe: 0.500 0.000 0.172
Fe: 0.500 0.500 0.672

- Crystal system: orthorhombic
- Energy of formation: 2.1 eV per formula unit
- Offset from the most stable computed form: 0.0095 eV/atom
- Volume: 414.1 Å³ per cell


(3)
Density functional theory data (GGA-PBE) for a relaxed Pu4Mn crystal.

abc: 6.447 6.447 6.447
angles: 60.00 60.00 60.00
Element x y z (fractional)
Pu: 0.168 0.777 0.777
Pu: 0.223 0.223 0.223
Pu: 0.223 0.223 0.832
Pu: 0.223 0.832 0.223
Pu: 0.777 0.168 0.777
Pu: 0.777 0.777 0.168
Pu: 0.777 0.777 0.777
Pu: 0.832 0.223 0.223
Mn: 0.375 0.375 0.375
Mn: 0.625 0.625 0.625

- Crystal system: cubic
- Energy of formation: 5.2 eV per formula unit
- Volume: 189.5 Å³ per cell


(4)
Density functional theory data (GGA-PBE) for a relaxed Ir3C8O8 crystal.

abc: 13.788 13.038 18.873
angles: 90.00 132.59 90.00
Element x y z (fractional)
Ir: 0.000 0.115 0.250
Ir: 0.000 0.199 0.750
Ir: 0.000 0.801 0.250
Ir: 0.000 0.885 0.750
Ir: 0.036 0.040 0.872
Ir: 0.036 0.960 0.372
Ir: 0.192 0.043 0.824
Ir: 0.192 0.957 0.324
Ir: 0.333 0.464 0.113
Ir: 0.333 0.536 0.613
Ir: 0.395 0.464 0.286
Ir: 0.395 0.536 0.786
Ir: 0.500 0.308 0.250
Ir: 0.500 0.380 0.750
Ir: 0.500 0.620 0.250
Ir: 0.500 0.692 0.750
Ir: 0.605 0.464 0.214
Ir: 0.605 0.536 0.714
Ir: 0.667 0.464 0.387
Ir: 0.667 0.536 0.887
Ir: 0.808 0.043 0.676
Ir: 0.808 0.957 0.176
Ir: 0.964 0.040 0.628
Ir: 0.964 0.960 0.128
C: 0.026 0.302 0.693
C: 0.026 0.698 0.193
C: 0.042 0.117 0.592
C: 0.042 0.883 0.092
C: 0.063 0.094 0.171
C: 0.063 0.906 0.671
C: 0.129 0.217 0.335
C: 0.129 0.783 0.835
C: 0.180 0.462 0.562
C: 0.180 0.538 0.062
C: 0.190 0.018 0.003
C: 0.190 0.982 0.503
C: 0.205 0.180 0.881
C: 0.205 0.820 0.381
C: 0.218 0.424 0.220
C: 0.218 0.576 0.720
C: 0.280 0.472 0.990
C: 0.280 0.528 0.490
C: 0.289 0.317 0.109
C: 0.289 0.683 0.609
C: 0.294 0.074 0.793
C: 0.294 0.926 0.293
C: 0.331 0.035 0.433
C: 0.331 0.965 0.933
C: 0.382 0.384 0.794
C: 0.382 0.616 0.294
C: 0.389 0.284 0.650
C: 0.389 0.716 0.150
C: 0.458 0.211 0.301
C: 0.458 0.789 0.801
C: 0.467 0.414 0.408
C: 0.467 0.586 0.908
C: 0.533 0.414 0.092
C: 0.533 0.586 0.592
C: 0.542 0.211 0.199
C: 0.542 0.789 0.699
C: 0.611 0.284 0.850
C: 0.611 0.716 0.350
C: 0.618 0.384 0.706
C: 0.618 0.616 0.206
C: 0.669 0.035 0.067
C: 0.669 0.965 0.567
C: 0.706 0.074 0.707
C: 0.706 0.926 0.207
C: 0.711 0.317 0.391
C: 0.711 0.683 0.891
C: 0.720 0.472 0.510
C: 0.720 0.528 0.010
C: 0.782 0.424 0.280
C: 0.782 0.576 0.780
C: 0.795 0.180 0.619
C: 0.795 0.820 0.119
C: 0.810 0.018 0.497
C: 0.810 0.982 0.997
C: 0.820 0.462 0.938
C: 0.820 0.538 0.438
C: 0.871 0.217 0.165
C: 0.871 0.783 0.665
C: 0.937 0.094 0.329
C: 0.937 0.906 0.829
C: 0.958 0.117 0.908
C: 0.958 0.883 0.408
C: 0.974 0.302 0.807
C: 0.974 0.698 0.307
O: 0.034 0.367 0.655
O: 0.034 0.633 0.155
O: 0.091 0.165 0.572
O: 0.091 0.410 0.531
O: 0.091 0.590 0.031
O: 0.091 0.835 0.072
O: 0.114 0.395 0.185
O: 0.114 0.605 0.685
O: 0.115 0.148 0.155
O: 0.115 0.852 0.655
Activity:
Count the lines earlier on that contain the word "theory" and give the number alone.
Outcome:
4